Award of OPTIMA Gold Medal to Professor Loutfy Boulos Tawadros |
Laudatio by Professor Vernon Heywood
It gives me very great pleasure to present to you one of the great pillars of Mediterranean and Middle Eastern Botany to whom the OPTIMA Gold Medal has been awarded – Emeritus Professor Loutfy Boulos.
Loutfy Boulos has had a remarkable and eventful career. In Cairo he has been a Research Worker, National Research Centre and Desert Institute (now the: Desert Research Centre), Botanist at the Herbarium, Ministry of Agriculture and then Head of Plant Taxonomy Unit; Associate Professor of Botany, Cairo University and Professor of Plant Taxonomy and Flora of Egypt, National Research Centre, Dokki.
He has also held a number of prestigious positions in other countries of North Africa and the Middle East:
- Assistant and then Associate Professor, Faculty of Science, University of Libya, Tripoli, Libya
Inserted here: materials data =
-- begin --
[1]
The following is a calculated powder diffractogram of BeHgS2. It was derived from a cell relaxed with GGA-PBE, using Cu Ka.

Structure:
```
data_BeHgS2
_chemical_formula_sum 'Be4 Hg4 S8'
_symmetry_space_group_name_H-M 'I 4/m c m'
_symmetry_Int_Tables_number 140
_symmetry_space_group_name_Hall '-I 4 2c'
_cell_length_a 7.1109
_cell_length_b 7.1109
_cell_length_c 5.7020
_cell_angle_alpha 90.00
_cell_angle_beta 90.00
_cell_angle_gamma 90.00
loop_
_atom_site_label
_atom_site_fract_x
_atom_site_fract_y
_atom_site_fract_z
Be1 0.0000 0.5000 0.2500
Hg1 0.0000 0.0000 0.2500
S1 0.1572 0.3428 0.0000
```

Top 8 peaks for 15° ≤ 2θ ≤ 90°, in order of rising 2θ:
- 17.6°, 5.028 Å, rel. 1000, hkl 1 1 0
- 25.0°, 3.555 Å, rel. 498, hkl 2 0 0
- 35.7°, 2.514 Å, rel. 296, hkl 2 2 0
- 36.2°, 2.480 Å, rel. 558, hkl 1 1 2
- 40.1°, 2.249 Å, rel. 485, hkl 3 1 0
- 40.6°, 2.224 Å, rel. 478, hkl 2 0 2
- 48.3°, 1.886 Å, rel. 211, hkl 2 2 2
- 51.8°, 1.766 Å, rel. 233, hkl 3 1 2


[2]
The following is a calculated powder diffractogram of BeHgS2. It was derived from a cell relaxed with GGA-PBE, using Cu Ka.

Structure:
```
data_BeHgS2
_chemical_formula_sum 'Be4 Hg4 S8'
_symmetry_space_group_name_H-M 'P n a 21'
_symmetry_Int_Tables_number 33
_cell_length_a 6.4987
_cell_length_b 7.6999
_cell_length_c 6.2854
_cell_angle_alpha 90.00
_cell_angle_beta 90.00
_cell_angle_gamma 90.00
loop_
_symmetry_equiv_pos_as_xyz
'x,y,z'
'-x,-y,z+1/2'
'-x+1/2,y+1/2,z+1/2'
'x+1/2,-y+1/2,z'
loop_
_atom_site_label
_atom_site_fract_x
_atom_site_fract_y
_atom_site_fract_z
Be1 0.0691 0.1256 0.0000
Hg1 0.0876 0.6247 0.9942
S1 0.0498 0.0923 0.6627
S2 0.1141 0.6564 0.5876
```

Top 8 peaks for 15° ≤ 2θ ≤ 90°, in order of rising 2θ:
- 17.9°, 4.966 Å, rel. 752, hkl 1 1 0
- 18.2°, 4.869 Å, rel. 1000, hkl 0 1 1
- 26.9°, 3.312 Å, rel. 536, hkl 1 2 0
- 28.4°, 3.143 Å, rel. 547, hkl 0 0 2
- 29.8°, 2.994 Å, rel. 421, hkl 2 1 0
- 30.5°, 2.930 Å, rel. 890, hkl 1 2 1
- 31.0°, 2.886 Å, rel. 443, hkl 2 0 1
- 33.8°, 2.656 Å, rel. 586, hkl 1 1 2


[3]
The following is a calculated powder diffractogram of ScBeHg. It was derived from a cell relaxed with GGA-PBE, using Cu Ka.

Structure:
```
data_ScBeHg
_chemical_formula_sum 'Sc1 Be1 Hg1'
_symmetry_space_group_name_H-M 'P -6 m 2'
_symmetry_Int_Tables_number 187
_symmetry_space_group_name_Hall 'P -6 2'
_cell_length_a 4.2801
_cell_length_b 4.2801
_cell_length_c 3.3539
_cell_angle_alpha 90.00
_cell_angle_beta 90.00
_cell_angle_gamma 120.00
loop_
_atom_site_label
_atom_site_fract_x
_atom_site_fract_y
_atom_site_fract_z
Sc1 0.0000 0.0000 0.0000
Be1 0.6667 0.3333 0.5000
Hg1 0.3333 0.6667 0.5000
```

Top 8 peaks for 15° ≤ 2θ ≤ 90°, in order of rising 2θ:
- 24.0°, 3.707 Å, rel. 869, hkl 1 0 0
- 26.6°, 3.354 Å, rel. 188, hkl 0 0 1
- 36.1°, 2.487 Å, rel. 1000, hkl 1 0 1
- 42.2°, 2.140 Å, rel. 405, hkl 1 1 0
- 50.6°, 1.804 Å, rel. 209, hkl 1 1 1
- 56.8°, 1.622 Å, rel. 272, hkl 2 0 1
- 71.5°, 1.320 Å, rel. 170, hkl 1 1 2
- 73.2°, 1.293 Å, rel. 258, hkl 2 1 1


[4]
-- stop --
- Professor of Plant Taxonomy and UNESCO Expert, University of Jordan, Amman
- Professor of Plant Taxonomy, Faculty of Science, Kuwait University
He was also Senior Botanist at the Department of Environmental Sciences and Plant Production, International Livestock Centre of Africa (ILCA), Addis Ababa, Ethiopia and was a UNESCO Fellow, University of Montpellier, France from 1960–1963. He has been Emeritus Professor, Botany Department, Faculty of Science, Alexandria University, since February 2005.
Professor Boulos established the National Herbarium of Libya, the National Herbarium of Jordan and the National Herbarium of Kuwait which is a remarkable and unparalleled achievement. Since 1952 he has carried out extensive field work, mainly in Egypt, the Middle East and North Africa, including expeditions were to Gebel Uweinat in 1968, 1978 and 1996; to Gebel Elba in 1956, 1979 and 1998; to Nubia in 1963 and 1964, Jordan: 1973-1976; Qatar: 1977; Saudi Arabia: 1980; Bahrain: 1985; United Arab Emirates: 1985, 1986 and 1997; Yemen: 1987, 1988; Kuwait: 1973, 1984-1996, Egypt: (Gilf El-Kebir, Gebel Uweinat, Qattara Depression), 1996-1997, Syria: 1997 and 2001 Libya: 1966-1971; Tunisia: 1968; Morocco: 1961. He also collected plants in Canary Islands 1961, 1962; in Madeira: 1962; Cyprus: 1973; Ethiopia: 1976-1978; Kenya: 1977-1978; Mali: 1977; Sudan: 1982; Gaza Zone: 1955-1956, 1963; and Zimbabwe: 1996. He has described many new genera and species.
His publications comprise some 100 papers, chapters in books and 15 books, including:
Common weeds in Egypt.(1967). (with M.N. El-Hadidi).
Street trees in Egypt (1968). Reprinted 1970. Second ed. pages. (1979). Revised ed, (1988) (with M.N. El-Hadidi).
Supplementary Notes to Students' Flora of Egypt, second edition (1974). (with V. Täckholm).
Medicinal Plants of North Africa (1983).
The weed flora of Egypt (1985). Revised edition (1994). (with M.N. El-Hadidi).
Unrelated to this entry: records of crystals:
=====
Er8Os3: computed powder XRD pattern (Cu Kα, 1.54184 Å), based on DFT lattice parameters and positions (PBE).
Intensities are scaled so that the largest is 100.

Lattice parameters (Å, degrees): 9.4948 9.4948 11.6462 90.00 90.00 120.00
Space group R-3m (No. 166, hexagonal axes)
One atom of each set of equivalent atoms:
1 Er 0.0000 0.0000 0.2448
2 Er 0.0074 0.5037 0.7482
3 Os 0.0000 0.5000 0.5000

Main lines, low angle first (15 to 90 degrees two-theta):
- (0 2 1), 22.9 deg, intensity 21.4
- (2 0 2), 26.5 deg, intensity 21.0
- (2 2 0), 37.9 deg, intensity 100.0
- (2 0 5), 44.7 deg, intensity 11.2
- (0 0 6), 46.9 deg, intensity 5.9
- (4 0 4), 54.7 deg, intensity 17.4
- (2 2 6), 61.8 deg, intensity 7.6
- (2 4 4), 68.4 deg, intensity 26.5
- (6 0 0), 68.5 deg, intensity 8.8
- (0 4 8), 81.0 deg, intensity 11.1


No. 1
Theoretical XRD peak list
Compound: ReSbPt2
Radiation: Cu Kα (weighted mean of Kα1 and Kα2)
Structure: the GGA-PBE geometry in Alexandria
Peak positions follow from Bragg's law for the DFT cell and can differ from measured ones.

Most intense lines, 2θ = 15–90°, by intensity:
| Position (°2θ) | Rel. int. |
| --- | --- |
| 38.26 | 100 |
| 38.48 | 94 |
| 41.88 | 74 |
| 66.95 | 37 |
| 73.94 | 28 |
| 49.68 | 24 |
| 74.36 | 24 |
| 60.41 | 14 |
| 81.91 | 11 |
| 61.03 | 11 |

Atomic structure:
abc: 3.0645 3.6704 6.0730
angles: 90.00 90.00 90.00
Space group Pmm2 (No. 25)
Asymmetric unit:
Re1 0.0000 0.0000 0.0000 (multiplicity 1)
Sb1 0.5000 0.5000 0.2815 (multiplicity 1)
Pt1 0.0000 0.0000 0.5430 (multiplicity 1)
Pt2 0.5000 0.5000 0.7891 (multiplicity 1)

***

No. 2
Theoretical XRD peak list
Compound: SiAg8S2O4
Radiation: Cu Kα (weighted mean of Kα1 and Kα2)
Structure: the GGA-PBE geometry in Alexandria
Peak positions follow from Bragg's law for the DFT cell and can differ from measured ones.

Most intense lines, 2θ = 15–90°, by intensity:
| Position (°2θ) | Rel. int. |
| --- | --- |
| 30.11 | 100 |
| 33.99 | 57 |
| 18.07 | 22 |
| 35.33 | 21 |
| 42.13 | 19 |
| 48.99 | 18 |
| 50.86 | 15 |
| 48.83 | 14 |
| 43.28 | 13 |
| 36.68 | 13 |

Atomic structure:
abc: 7.4609 7.4609 19.6000
angles: 90.00 90.00 90.00
Space group I4_1/amd (No. 141, origin choice 2)
Asymmetric unit:
Si1 0.0000 0.2500 0.3750 (multiplicity 4)
Ag1 0.0000 0.2500 0.2247 (multiplicity 8)
Ag2 0.0000 0.2500 0.7743 (multiplicity 8)
Ag3 0.1988 0.0512 0.8750 (multiplicity 16)
S1 0.0000 0.2500 0.1047 (multiplicity 8)
O1 0.0000 0.0808 0.3202 (multiplicity 16)


# 1
Theoretical powder diffractogram of NaPm4Sn4 for Cu Kα, 1.54184 Å, from DFT lattice parameters and positions (GGA-PBE).
Intensities are scaled so that the largest is 100.

Cell and atoms:
```
NaPm4Sn4
1.0
9.2181 0.0000 0.0000
0.0000 9.2181 0.0000
0.0000 0.0000 6.4674
Na Pm Sn
2 8 8
Direct
0.2500 0.2500 0.2500
0.7500 0.7500 0.7500
0.0287 0.6716 0.1070
0.1716 0.9713 0.6070
0.3284 0.5287 0.6070
0.4713 0.8284 0.1070
0.5287 0.1716 0.8930
0.6716 0.4713 0.3930
0.8284 0.0287 0.3930
0.9713 0.3284 0.8930
0.0142 0.6468 0.5954
=====
Here the entry continues:
The weed flora of Kuwait (1988).
Flora of Egypt Checklist (1995).
[1]
Starting from a cell relaxed with PBE, the powder X-ray diffraction pattern of KBr3 was calculated for a wavelength of 1.5418 Å.

Top 12 peaks for 10° ≤ 2θ ≤ 90°, by angle:
| 2θ (°) | intensity |
| --- | --- |
| 23.1 | 62.8 |
| 32.0 | 19.9 |
| 34.1 | 100.0 |
| 39.8 | 21.4 |
| 47.1 | 8.6 |
| 48.1 | 36.5 |
| 57.1 | 14.3 |
| 62.4 | 22.2 |
| 68.2 | 12.4 |
| 69.6 | 11.7 |
| 77.1 | 11.8 |
| 77.8 | 8.6 |

a b c (Å): 6.4509 6.4509 7.7155
angles (deg): 90.00 90.00 120.00
Space group P6_3/mmc (No. 194)
One atom of each set of equivalent atoms:
1 K 0.3333 0.6667 0.2500 x2
2 Br 0.1674 0.3348 0.7500 x6

=====

[2]
Starting from a cell relaxed with PBE, the powder X-ray diffraction pattern of K2LaTa6Br15O3 was calculated for a wavelength of 1.5418 Å.

Top 12 peaks for 10° ≤ 2θ ≤ 90°, by angle:
| 2θ (°) | intensity |
| --- | --- |
| 10.6 | 100.0 |
| 14.5 | 23.5 |
| 27.1 | 23.2 |
| 28.4 | 23.2 |
| 32.1 | 20.1 |
| 34.8 | 75.5 |
| 40.4 | 14.7 |
| 41.4 | 19.4 |
| 41.5 | 19.6 |
| 42.7 | 24.6 |
| 44.1 | 15.4 |
| 49.7 | 14.1 |

a b c (Å): 9.5961 9.5961 18.0828
angles (deg): 90.00 90.00 120.00
Space group P-31c (No. 163)
One atom of each set of equivalent atoms:
1 K 0.3333 0.6667 0.0470 x4
2 La 0.3333 0.6667 0.7500 x2
3 Ta 0.0166 0.1891 0.8142 x12
4 Br 0.0191 0.2233 0.0854 x12
5 Br 0.0732 0.4704 0.8845 x12
6 Br 0.2140 0.4280 0.2500 x6
7 O 0.1807 0.3615 0.7500 x6

=====

# 1
This entry pairs a crystal structure of CrSi4O10 with its calculated powder XRD pattern. Radiation: CuKα. Structure: the PBE+U geometry in the Materials Project.

Crystal structure
Cell: 7.1606 7.9791 9.5601 Å, 105.05 101.66 112.90°
Space group P-1 (No. 2)
Inequivalent atoms, fractional coordinates:
Cr1 0.2402 0.1780 0.0827 x2
Si1 0.1192 0.8782 0.2550 x2
Si2 0.2730 0.5864 0.2866 x2
Si3 0.2979 0.1264 0.7459 x2
Si4 0.4244 0.8016 0.6316 x2
O1 0.0695 0.1239 0.6747 x2
O2 0.0798 0.9392 0.1004 x2
O3 0.1114 0.6640 0.2106 x2
O4 0.1666 0.3541 0.1811 x2
O5 0.2768 0.9099 0.6673 x2
O6 0.2889 0.6179 0.4655 x2
O7 0.3540 0.0409 0.3816 x2
O8 0.3549 0.1852 0.9329 x2
O9 0.4873 0.2949 0.7191 x2
O10 0.4966 0.7342 0.7698 x2

The 10 most intense peaks (2θ from 10° to 90°), by angle:
Position (°2θ), I (rel.), h k l
13.0, 83.0, 0 1 0
14.1, 16.9, 1 -1 0
14.5, 84.9, 1 0 -1
17.4, 100.0, 1 -1 1
20.5, 51.5, 0 0 2
21.3, 95.1, 1 1 -1
23.2, 62.1, 1 -2 0
28.6, 44.8, 0 1 -3
28.8, 19.6, 2 0 0
35.3, 16.6, -2 2 2

# 2
This entry pairs a crystal structure of CrSi4O10 with its calculated powder XRD pattern. Radiation: CuKα. Structure: the PBE+U geometry in the Materials Project.

Crystal structure
Cell: 7.5269 7.5269 16.1997 Å, 90.00 90.00 90.00°
Space group P4/ncc (No. 130, origin choice 2)
Inequivalent atoms, fractional coordinates:
Cr1 0.2500 0.2500 0.0896 x4
Si1 0.0193 0.0666 0.3464 x16
O1 0.0020 0.2218 0.8651 x16
O2 0.0299 0.5299 0.2500 x8
O3 0.0429 0.1194 0.0965 x16

The 10 most intense peaks (2θ from 10° to 90°), by angle:
Position (°2θ), I (rel.), h k l
10.9, 18.2, 0 0 2
16.7, 46.5, 1 1 0
21.9, 100.0, 0 0 4
23.6, 45.7, 2 0 0
Flora of Egypt vol. 1 (1999), vol. 2 (2000), vol. 3 (2002), vol.4 (2005).
Plant diversity in Egypt (2007). (in Arabic, scientific names in Latin).
His field work, the large amount of material he collected and his publications gave him an unrivalled understanding of the plant life of the Middle East and North Africa and without these enormous contributions, our knowledge of these areas would be greatly diminished.
Despite his remarkable achievements Loutfy Boulos remains a modest and an unassuming man. I have had the privilege of knowing him for many years and have many fond memories including eating braised pigeon with him at a café on the banks of the Nile, a favourite haunt of his since his student days. I recall how he bore with great stoicism the loss of his herbarium, books and papers when the Kuwait Herbarium which he had founded was looted and the specimens, along with the cupboards and fittings, taken to Iraq during the invasion in 1990. This was one of the great acts of scientific vandalism. But he carried on and gradually rebuilt what had been lost.
And so, Loutfy, very many congratulations on this long overdue award.